COMP3220 — Document Processing and the Semantic Web
Week 06 L1: Advanced Topics in Deep Learning
Diego Moll ́a COMP3220 2021H1
This is the final lecture on deep learning where we will introduce several advanced topics on deep learning for text processing. The emphasis here is on aspects related to the generation of text. We will see an approach that generates text by learning a language model based on a corpus, and we will advance some topics on the use of encoding and decoding architectures that are able to generate text based on some input context. This can be used in multiple tasks, such as machine translation (e.g. French to English, text summarisation (from text to a summary), or even caption generation (from an image to text). We will conclude with open challenges in deep learning that are the subject of current research.
Update March 24, 2021
1 Text Generation 1
2 Encoder-Decoder Architecture 4
3 Pre-training and Fine-tuning 6
• Deep Learning book, section 8.1. Additional Reading
• Jurafsky & Martin, Chapter 9.
• The Illustrated BERT, ELMo, and co.:
1 Text Generation
Generating Text Sequences
• One of the advances of deep learning versus shallower approaches to machine learning is its ability to process complex contexts.
• This has allowed significant advances in image and text processing.
• We have seen how to process text sequences for text classification.
Text generation as a particular case of text classification
• Given a piece of text …
• Predict the next character.
Text Generation as Character Prediction
• Our training data is a set of samples of the form: Input Text fragment.
Label Next character to predict.
• We do not need to manually annotate the training data: the data are self-annotated.
• This means that we can easily gather training data for text generation.
• This is the idea for training language models (next slide).
Language Models
• Given a collection of text, we can train a language model that can be used to generate text in the same style.
Figure 8.1 of Chollet (2018).
Implementing Character-level LSTM Text Generation
• The architecture of the model is of the kinds we have seen for text classification. – The input is a sequence of characters.
– The “class” to predict is the next character to generate.
• If we add an embedding layer after the input, This layer will learn character embeddings.
model = tf . keras . models . Sequential ()
model.add(layers.Embedding(len(chars), 20, input len=maxlen))
m o d e l . a d d ( l a y e r s . LSTM ( 1 2 8 ) )
== Someone pasted data records at this point ==
~~~
1.
Below is a structure of composition C25H38N4O4PS at a distorted geometry, with properties calculated with wB97M-V/def2-TZVPD.

Structure (XYZ):
```
73
Properties=species:S:1:pos:R:3:lowdin_charge:R:1
C -3.171 -5.603 -1.778 -0.14
C -1.630 -5.730 -2.074 -0.24
C -0.878 -4.312 -2.107 -0.18
C 0.136 -4.189 -0.871 -0.19
N -0.685 -3.906 0.333 -0.01
C -0.203 -2.789 1.113 -0.13
C 0.018 -1.383 0.603 -0.09
C -0.237 -1.031 -0.897 -0.06
C 1.179 -0.922 -1.611 -0.34
O 2.202 -0.621 -1.020 0.05
C 1.367 -1.249 -3.144 -0.13
C 0.677 -0.498 -4.202 -0.02
C 0.971 -0.905 -5.610 -0.07
C 1.930 -1.985 -5.877 -0.07
C 2.626 -2.743 -4.803 -0.06
C 2.327 -2.355 -3.420 -0.03
C 0.474 -0.288 1.477 -0.19
P 0.693 1.450 0.867 0.78
O -0.713 2.031 0.663 -0.49
C 0.773 -0.535 2.932 -0.33
N 1.207 0.362 3.888 -0.26
S 1.286 -0.566 5.291 0.98
N 0.852 -2.116 4.812 -0.20
C 0.572 -1.954 3.460 -0.25
C 0.094 -3.050 2.532 -0.01
C -0.077 -4.505 3.116 -0.17
O 1.239 -5.001 3.425 -0.20
C 1.879 -5.521 2.239 -0.10
H -3.708 -6.594 -1.883 0.08
H -3.693 -4.861 -2.451 0.08
H -3.401 -5.261 -0.720 0.07
H -1.141 -6.362 -1.271 0.10
H -1.499 -6.295 -3.037 0.11
H -1.712 -3.544 -2.012 0.09
H -0.383 -4.106 -3.094 0.11
H 0.637 -5.206 -0.823 0.11
H 0.951 -3.438 -1.062 0.10
H -1.679 -3.812 0.115 0.12
H -0.868 -1.801 -1.414 0.10
H -0.743 -0.032 -1.012 0.12
H -0.045 0.327 -3.984 0.11
H 0.437 -0.350 -6.418 0.10
H 2.194 -2.291 -6.928 0.10
H 3.367 -3.554 -4.990 0.10
H 2.840 -2.920 -2.599 0.11
H 1.351 1.549 -0.387 0.02
H 1.441 2.242 1.807 0.02
H -0.617 -4.382 4.100 0.13
H -0.631 -5.191 2.423 0.12
H 2.461 -4.722 1.703 0.09
H 1.165 -6.043 1.545 0.08
H 2.618 -6.293 2.608 0.10
C -2.109 7.043 2.046 0.02
N -0.827 7.353 1.303 -0.36
C -0.574 8.837 1.414 0.01
C -0.990 6.994 -0.147 0.02
C 0.368 6.629 1.927 -0.08
C 0.301 5.111 1.865 -0.25
O -0.836 4.622 2.550 -0.07
H -2.860 7.772 1.741 0.11
H -2.455 6.051 1.768 0.10
H -1.922 7.119 3.115 0.12
H -1.413 9.368 0.966 0.11
H 0.348 9.071 0.881 0.11
H -0.481 9.092 2.470 0.12
H -1.241 5.938 -0.226 0.11
H -0.055 7.208 -0.663 0.12
H -1.799 7.595 -0.560 0.11
H 0.412 6.961 2.967 0.14
H 1.258 6.981 1.402 0.14
H 1.194 4.697 2.345 0.13
H 0.277 4.753 0.830 0.11
H -0.846 3.655 2.451 0.08
```

As for the multiplicity: 1. The net charge is +1. Its HOMO-LUMO gap is 0.2804 Ha.

=====

2.
Below is an isolated molecule of Br3H3Si2 at a distorted geometry, with properties calculated with wB97M-V/def2-TZVPD.

Structure (XYZ):
```
8
Properties=species:S:1:pos:R:3:lowdin_charge:R:1
Br 0.237 2.709 0.028 0.22
Si -0.927 0.851 0.490 0.01
Si 0.656 -0.613 -0.259 -0.42
Br 0.569 -1.457 -2.403 0.17
Br 0.521 -2.558 0.921 0.14
H -1.592 0.375 1.850 -0.03
H -1.842 1.000 -0.657 -0.10
H 2.377 -0.307 0.030 0.00
```

As for the multiplicity: 1. As for the structure (SMILES): Br[SiH2][SiH](Br)Br. As for the energy relative to the best compared isomer or geometry (same formula, charge and spin): 25.3 kcal/mol. Its HOMO-LUMO gap is 0.3523 Ha.

=====

3.
~~~
model.add(layers.Dense(len(chars), activation=’softmax))
Generating Text • Remember that the output of a prediction is a probability distribution.
• To generate the next character, we can sample from the probability distribution. • We can determine how deterministic the sampling is:
– We can always return the character with highest probability . . .
– Or we can select a character randomly . . .
– Or we can do something in between, according to a “temperature” parameter.
import numpy a s np
def reweight distribution(original distribution , temperature=0.5):
distribution = np.log(original distribution) / temperature distribution = np.exp(distribution)
return distribution / np.sum( distribution )
Figure: Different Reweightings
Figure 8.2 of Chollet (2018)
The figure shows the reweightings of a sample distribution as we change the temperature. Low temper- ature will generate a deterministic distribution where only one value has probability near 1, and the other values have probabilities near 0. In contrast, high temperature will generate probabilities that are nearly identical, simulating random choice.
See notebook . . .
2 Encoder-Decoder Architecture
The Encoder-Decoder Architecture
### Inserted here: data records
- - -
one.
C3H11N3O | wB97M-V/def2-TZVPD

As for the multiplicity: 1. The LUMO energy is 0.472 eV. As for the gap between HOMO and LUMO: 0.27544 hartree. The total charge is 0.

Cartesian coordinates (Å):
N -2.15 -0.64 1.69
C -1.43 -1.61 0.82
O -0.91 -0.98 -0.25
H -2.80 -0.14 1.09
H -2.75 -1.16 2.34
H -0.66 -2.06 1.47
H -2.11 -2.44 0.51
C 1.66 -0.52 -1.83
N 1.53 0.75 -1.11
C 0.82 0.87 -0.02
N 0.66 2.03 0.61
H 2.71 -0.78 -1.90
H 1.21 -0.39 -2.82
H 1.06 -1.25 -1.30
H 2.14 1.49 -1.45
H 0.11 -0.01 0.26
H 1.10 2.87 0.31
H -0.03 2.05 1.34

For each atom in turn, the Löwdin charge in e is: -0.031 -0.535 -0.324 0.042 0.044 0.085 0.088 -0.043 0.001 -0.174 0.159 0.083 0.090 0.074 0.148 0.081 0.107 0.106


two.
C3H11N3O | wB97M-V/def2-TZVPD

As for the multiplicity: 1. The LUMO energy is 0.921 eV. As for the gap between HOMO and LUMO: 0.35707 hartree. The total charge is 0.

Cartesian coordinates (Å):
N 0.95 -1.36 0.61
C 1.33 -0.28 1.25
N 0.63 0.44 2.26
N 2.69 0.16 1.02
H -0.05 -1.47 0.81
H -0.17 -0.04 2.65
H 1.23 0.77 2.97
H 3.23 0.51 1.77
H 3.16 -0.58 0.55
C -1.50 1.52 -1.80
C -2.03 0.13 -2.12
O -1.69 -0.75 -1.03
H -0.41 1.48 -1.70
H -1.76 2.30 -2.56
H -1.95 1.86 -0.87
H -1.52 -0.25 -3.01
H -3.11 0.22 -2.28
H -1.84 -1.65 -1.37

For each atom in turn, the Löwdin charge in e is: 0.076 -0.541 0.102 0.086 0.015 0.082 0.058 0.054 0.068 -0.100 -0.322 -0.109 0.075 0.084 0.070 0.109 0.106 0.087


Most stable: two


one.
C3H11N3O | wB97M-V/def2-TZVPD

As for the multiplicity: 1. The LUMO energy is 0.781 eV. As for the gap between HOMO and LUMO: 0.34903 hartree. The total charge is 0.

Cartesian coordinates (Å):
N 2.11 -2.88 0.56
C 1.52 -1.68 0.16
C 2.10 -0.47 0.12
N 1.39 0.70 -0.20
H 2.36 -3.46 -0.24
H 1.53 -3.45 1.15
H 0.49 -1.82 -0.19
H 3.14 -0.33 0.42
H 1.95 1.37 -0.69
H 1.02 1.13 0.63
N -1.68 2.22 -0.93
C -1.73 1.03 -0.12
O -3.08 0.79 0.34
H -2.34 2.07 -1.66
H -2.01 3.03 -0.42
H -1.40 0.14 -0.73
H -1.02 1.01 0.73
H -3.10 0.49 1.29

For each atom in turn, the Löwdin charge in e is: -0.011 -0.239 -0.206 0.012 0.075 0.066 0.099 0.105 0.070 0.058 0.025 -0.374 -0.105 0.058 0.067 0.111 0.091 0.097


two.
C3H11N3O | wB97M-V/def2-TZVPD

As for the multiplicity: 1. The LUMO energy is 0.945 eV. As for the gap between HOMO and LUMO: 0.35075 hartree. The total charge is 0.

Cartesian coordinates (Å):
N 0.21 -2.13 -0.76
C 0.43 -1.07 -1.68
C 0.78 0.17 -1.36
N 0.96 1.17 -2.36
H 1.06 -2.57 -0.45
H -0.38 -2.85 -1.14
H 0.28 -1.33 -2.73
H 0.93 0.46 -0.33
H 1.77 1.74 -2.16
H 0.16 1.80 -2.37
N -0.63 -0.59 1.97
C -1.13 0.74 2.07
O -0.18 1.70 1.57
H -0.51 -0.92 1.01
H 0.25 -0.69 2.46
H -2.06 0.82 1.51
H -1.35 0.97 3.12
H -0.59 2.57 1.63

For each atom in turn, the Löwdin charge in e is: 0.004 -0.204 -0.222 0.003 0.080 0.069 0.103 0.082 0.061 0.066 0.027 -0.357 -0.094 0.028 0.073 0.111 0.106 0.066


Most stable: two


one.
C5H14OS | wB97M-V/def2-TZVPD

As for the multiplicity: 1. The LUMO energy is 0.617 eV. As for the gap between HOMO and LUMO: 0.32830 hartree. The total charge is 0.
- - -
• Composed of an encoder and a decoder.
– The encoder can be an RNN chain that takes the input.
– The decoder can be an RNN that takes the output of the previous RNN as input. • Revolutionised machine translation and many other text processing applications.
• The encoder stage can be something non-textual, e.g. images for caption generation.
Encoder Decoder
y0 y1 y2
x0 x1 x2
The encoder-decoder architecture is a general architecture that can be used for any case where the desired output is a sequence of length different from the input sequence. It can even be used to generate text based on non-textual information, such as image caption generation.
In the most basic approach, the encoder-decoder architecture can be implemented as two RNN layers: the encoder is an RNN layer that generates an output. This outut is then the input to the decoder. Many variants and enhancements of this architecture are being proposed.
Training the Encoder-Decoder Architecture
A common approach to train the encoder-decoder architecture is to apply teacher forcing:
• Use the target sequence to guide the training of the decoder.
• For example, in an English to French machine translation system, we feed the target French translation to the decoder.
“The weather is fine” −→ “Il fait bon” Encoder
y0 y1 y2
Attention: An Improvement to the Encoder-Decoder Architecture
Attention is an enhancement in the seq2seq architecture that allows to focus on parts of the input during the generation stage by the decoder.
The encoder and decoder of this image consist of two stacked RNN chains, and attention on the top RNN chain of the encoder is used to predict the next output of the decoder. We can also see that the encoder and decoders operate on words and not on characters, in contrast with the previous examples of this lecture. The image pictures attention when generating the first word. The same procedure would be used to generate the subsequent outputs.
Attention for MT
Very useful to start understanding the decision processes of the model.
Attention in Caption Generation
Bahdanau et al. (2015) arXiv:1409.0473
Xu et al. (2015) arXiv:1502.03044
3 Pre-training and Fine-tuning
Problems with Supervised Learning Annotated data
• Supervised learning requires (a lot of) annotated data. • Annotated data can be costly.
• Human annotated data can contain annotation errors.
Training size
• Supervised learning requires a lot of (annotated) data.
• Large companies can afford the resources for processing large volumes of data, others can’t. • Some domains do not have much text anyway. training-a-single-ai-model-can-emit-as-much-carbon-as-five-cars-in-their-lifetimes/
Idea: Pre-Train and Fine-Tune Pre-training
• Develop a system that can be trained with large volumes of data.
• Make the system as general as possible, so that it can be used for multiple tasks.
• Design a Deep Learning model that contains: – A layer pre-trained for a general task.
– Additional layers that adapt the general task to our specific task.
• Fine-tune the system using the (smaller) training data of our specific task.
Example: Word Embeddings
• As we have seen in a previous lecture, word embeddings can be learnt using large, unlabelled data.
• These pre-trained word embeddings can be used to initialise an embeddings layer in our Deep Learning
• We have the choice to update these word embeddings, or not.
Huggingface’s transformers library
• Huggingface’s transformers library contains a large repository of pre-trained models. • These models are contributions from many researchers and developers.
• These models are being used to obtain state-of-the-art results.
Example: Using BERT in Keras
• BERT is one of the most popular architectures for pre-training and fine-tuning. • Look at the lecture notebook for an example of use in keras.
• BERT is easy to use, but fine-tuning can take a long time.
Take-home Messages
1. Text generation as a task of character (or word) prediction.
2. Describe the encoder-decoder architecture. What is this architecture good for? 3. What is teacher forced training and what is it good for?
4. Transfer learning and fine-tuning.
What’s Next Weeks 7-12
• Semantic Web (Rolf Schwitter).
• Assignment 2 submission deadline on Friday 23 April 2021.